This is the place where I can "let my hair down". My personal journal, being sent into the void! Don't be offended, don't be appauled, just be entertained by the freaky way my head works and try not to hold it against me!!

Thursday, November 16, 2006

Letting it all go...

I have felt a comforting sense of peace lately. After lasts weeks stress (topped off by some over reacting), I have been able to put the brakes on my life and get control again. Things seem so clear now that I can't believe I was ever confused or clouded.

So, What it all really comes down to is someone is lying. Really, what about or who it is for sure doesn't matter. But her lying is much worse. As a best friend, she fails miserably, but she's a great ally. I just think she's very confused and needs someone to obsess over her, but not roll over for her. When she had it, she didn't know she needed it, and gave it up. I can't let her get too close now. She's changed. I can't let her tell me things that I know aren't true. At this point, she's the one who I should be wary of. When it comes right down to it, she needs to be wanted and the center of attention (whether she knows it or not). She's going to go out of her way to make sure that Jems likes her, regardless of me or my feelings. Whether he likes her or not, is irrelevent since we are not together, so her telling me that he is lying is irrelevent. It may serve to hurt my feelings, but I trust him more than her, so I choose to believe him. It IS possible to be friends with someone of the opposite sex, and NOT want to be WITH them. She's just so used to everyone wanting her, that she doesn't know what to do when someone doesn't. Bottom line, I was told that she wouldn't want to be my friend when I hit my weight goal, cause there is no way anyone would be able to focus on her, with me around. I would be too hot (a super great compliment and motivation, btw). Well, apparently, all I needed was a little confidence and she already can't handle it. I'm more focused on being a friend first, which makes me closer to all our guy friends.

ANYWAYS! I've started as a Passion Party Consultant. SO much fun! I'm trying to book as many shows as humanly possible cause I really want to make some extra money for the holidays. I have a birthday party or two to try to plan (yes, yours included.. you know who you are), and some fabulous gifting ideas that will cost a pretty penny, but be completely worth it.
I'm trying to work out as much as possible to hit my goal by June, and being more responsible to my parents. They are giving SO much to Brielle and I afterall. My priorities seem to be in order. I know who to trust, and who to befriend. I'm enjoying my friends and my crushes (Pat calls it a list, but there aren't that many actually). So yeah, life is good and I'm excited again to be here floating along, singing a song. Which reminds me. I'm thinking I'm going to record some loungy kinda songs.. Just for fun. Yee Haw!

Oh.. And I have to mention this great story that really needs to be read by everyone. It's a work in progress, so make sure you check back frequently. The guy who writes it (Rob) is a very talented guy. Musician, Podcaster (make sure to check out that link too), Writer, Tribe Moderator, Father, Husband.. All around great guy (Don't let you head get too big there, Chief! ;) ) But yeah.. If you like superheroes and great writing, definitely check it out..

Also, anyone who knows and loves (or at least likes) my brothers, definitely should think about coming to their birthday party on Wednesday (cause you know you don't have to work on Thursday). It's at 6pm, email me or comment me if you want directions. It's gonna be fun!


Thunderchops said...

Good to hear! It's always nice to know where those around you stand.

Someday when I get my sex toy business off the ground maybe you could be a regional seller. :P

**Materials data, as found in the file:**
No. 1
Diffraction record for Er5Tm2Th2. The XRD peak list is computed, not measured: it uses a structure optimized by DFT (GGA-PBE) and Cu Kα (λ = 1.5418 Å).

Crystal structure
```
Er5Tm2Th2
1.0
3.5252 0.0000 0.0000
0.0436 8.3365 0.0000
1.7212 2.2804 9.6947
Er Tm Th
5 2 2
Cartesian
0.0000 0.0000 0.0000
1.7684 6.6917 5.5090
1.7355 2.8113 1.3110
3.5546 7.8056 8.3837
3.5216 3.9252 4.1857
1.7877 6.2076 2.0875
3.5024 4.4094 7.6072
1.7455 1.7355 6.2659
3.5446 8.8815 3.4288
```

Principal peaks in the range 10° ≤ 2θ ≤ 90°, sorted by position:
- 28.3°, d = 3.152 Å, rel. 21
- 28.5°, d = 3.134 Å, rel. 24
- 31.2°, d = 2.868 Å, rel. 81
- 32.1°, d = 2.791 Å, rel. 60
- 33.2°, d = 2.702 Å, rel. 100
- 33.4°, d = 2.684 Å, rel. 42
- 34.3°, d = 2.616 Å, rel. 42
- 34.5°, d = 2.602 Å, rel. 47
- 51.9°, d = 1.763 Å, rel. 20
- 62.1°, d = 1.495 Å, rel. 20

No. 2
Diffraction record for Er4Tm7Th. The XRD peak list is computed, not measured: it uses a structure optimized by DFT (GGA-PBE) and Cu Kα (λ = 1.5418 Å).

Crystal structure
```
Er4Tm7Th
1.0
6.6566 0.0000 0.0000
1.5908 6.6911 0.0000
1.9288 1.1512 8.2648
Er Tm Th
4 7 1
Cartesian
2.0776 2.1689 2.6184
4.7972 6.7361 5.5045
5.3790 1.1062 2.7603
8.0986 5.6734 5.6464
2.4147 2.7933 8.0582
3.0383 5.4990 2.7071
3.9804 3.3648 5.2370
3.3283 0.0000 0.0000
6.1958 4.4774 3.0278
7.1379 2.3433 5.5577
7.7615 5.0489 0.2066
4.1237 3.3456 0.0000
```

Principal peaks in the range 10° ≤ 2θ ≤ 90°, sorted by position:
- 31.1°, d = 2.877 Å, rel. 26
- 32.1°, d = 2.790 Å, rel. 100
- 32.2°, d = 2.779 Å, rel. 7
- 32.5°, d = 2.755 Å, rel. 32
- 32.9°, d = 2.725 Å, rel. 28
- 44.4°, d = 2.041 Å, rel. 10
- 46.1°, d = 1.969 Å, rel. 8
- 47.7°, d = 1.908 Å, rel. 11
- 56.9°, d = 1.619 Å, rel. 8
- 57.7°, d = 1.598 Å, rel. 11

No. 3
Diffraction record for ErTm14Th. The XRD peak list is computed, not measured: it uses a structure optimized by DFT (GGA-PBE) and Cu Kα (λ = 1.5418 Å).

Crystal structure
```
ErTm14Th
1.0
11.3090 0.0000 0.0000
0.0000 3.5163 6.0884
0.0000 -3.5163 6.0884
Er Tm Th
1 14 1
Cartesian
0.0000 0.0000 0.0000
0.0000 1.7568 9.1331
0.0000 -1.7568 9.1331
2.8424 0.0000 2.0316
2.8398 0.0000 8.1006
2.8442 -1.7442 5.0818
2.8442 1.7442 5.0818
5.6545 0.0000 4.0539
5.6545 -1.7619 7.1046
5.6545 0.0000 10.1460
5.6545 1.7619 7.1046
8.4648 -1.7442 5.0818
8.4648 1.7442 5.0818
8.4666 0.0000 2.0316
8.4691 0.0000 8.1006
0.0000 0.0000 6.0841
```

Principal peaks in the range 10° ≤ 2θ ≤ 90°, sorted by position:
- 30.4°, d = 2.940 Å, rel. 45
- 31.6°, d = 2.827 Å, rel. 35
- 33.4°, d = 2.681 Å, rel. 100
- 38.0°, d = 2.369 Å, rel. 25
- 52.0°, d = 1.758 Å, rel. 26
- 57.5°, d = 1.603 Å, rel. 21
- 62.2°, d = 1.493 Å, rel. 31
- 63.3°, d = 1.470 Å, rel. 16
- 86.3°, d = 1.128 Å, rel. 14
- 88.8°, d = 1.102 Å, rel. 14

No. 4
Diffraction record for Er2Tm5Th5. The XRD peak list is computed, not measured: it uses a structure optimized by DFT (GGA-PBE) and Cu Kα (λ = 1.5418 Å).

Crystal structure
```
Er2Tm5Th5
1.0
7.4703 -2.4973 0.0000
7.4703 2.4973 0.0000
**So much for the materials data:**

Tell your bros Tiffany and I say "hi"!

Melody said...

Oh I will SO tell them hello, and I will DEFINITELY be your regional sales rep. As long as I get to come to see you for some "appointments". ;)

Anonymous said...

ahhhh nice blog interesting more than i thaught but honestly i had a feeling she wasnt telling the truth when we talked about it it just seemd like something she would do and i know it really sux but we all go thru it at one point...but u know its all good i still love ya!!!